Data:
Calculated powder diffractogram of Tb2Pm2Sn7 for Cu Kα X-rays, from a DFT-relaxed cell (GGA-PBE, Alexandria).
Lines closer than 0.1° are merged.

Largest 10 diffraction maxima, sorted by position, 2θ = 10–80°:
| 2theta | d/Å | intensity |
| --- | --- | --- |
| 20.45 | 4.343 | 35 |
| 23.04 | 3.860 | 82 |
| 27.91 | 3.197 | 28 |
| 32.88 | 2.724 | 86 |
| 35.79 | 2.509 | 100 |
| 36.51 | 2.461 | 37 |
| 39.37 | 2.288 | 28 |
| 40.56 | 2.224 | 61 |
| 45.90 | 1.977 | 24 |
| 52.19 | 1.753 | 22 |

Structural model:
```
Tb2Pm2Sn7
1.0
4.577 -5.452 0.000
4.577 5.452 0.000
0.000 0.000 7.183
Tb Pm Sn
2 2 7
direct
0.189 0.189 0.000
0.811 0.811 0.000
0.283 0.717 0.500
0.717 0.283 0.500
0.000 0.000 0.500
0.000 0.500 0.202
0.000 0.500 0.798
0.500 0.000 0.202
0.500 0.000 0.798
0.500 0.500 0.198
0.500 0.500 0.802
```

Exercise:
It remains to give back every line earlier on that contains the word "than".

Outcome:
Lines closer than 0.1° are merged.